Please retype all of the material further down verbatim.

<<<
[1]
Here is a structure of composition C20H34GdN2O6S2Si2 in a non-equilibrium geometry from the OMol25 dataset. Energies are from the ωB97M-V functional and the def2-TZVPD basis.

As for the energy above the lowest of the compared OMol25 structures with the same formula, charge and spin: 0.0 kcal per mole. Its multiplicity is 8. For the total energy, the calculation gives -3484.77305 Ha. As for the expectation value of S²: 16.060. The highest occupied orbital energy (spin up / spin down) comes out at -5.10 / -5.11 eV. Its total charge is -1.

Geometry as XYZ:
```
67
Properties=species:S:1:pos:R:3:forces:R:3:lowdin_charge:R:1
Gd -0.821 -0.307 0.181 0.323 1.343 -0.402 1.476
O -1.814 0.101 -2.307 -0.010 0.081 0.118 -0.176
C -3.174 -0.328 -2.437 0.029 0.035 0.089 -0.197
C -4.005 0.124 -1.246 0.185 0.019 -0.006 -0.185
N -3.444 -0.384 0.005 -0.380 -0.164 0.180 -0.242
C -3.716 -1.824 0.155 0.197 -0.074 -0.141 -0.088
C -2.671 -2.733 -0.524 -0.164 0.062 0.080 -0.642
O -3.048 -3.772 -1.037 0.086 -0.070 -0.023 0.044
O -1.453 -2.302 -0.459 -0.320 -0.743 -0.196 -0.213
C -3.918 0.355 1.183 0.035 -0.158 0.012 -0.127
C -3.015 0.128 2.415 -0.089 -0.158 -0.165 -0.662
O -3.455 0.458 3.504 0.062 0.069 0.057 0.030
O -1.857 -0.385 2.167 -0.251 0.101 0.470 -0.200
H -1.796 1.073 -2.328 0.104 -0.033 0.005 0.014
H -3.144 -1.413 -2.515 0.016 -0.027 -0.042 0.118
H -3.607 0.066 -3.360 -0.003 0.010 -0.031 0.125
H -5.047 -0.200 -1.383 -0.029 0.006 -0.010 0.131
H -3.987 1.215 -1.204 -0.035 0.013 0.014 0.092
H -4.702 -2.092 -0.238 -0.063 0.041 0.034 0.129
H -3.690 -2.080 1.215 0.012 0.030 0.030 0.136
H -4.947 0.090 1.453 -0.020 -0.023 0.008 0.132
H -3.888 1.423 0.968 0.018 0.014 -0.056 0.079
C 4.082 -0.226 -2.271 0.068 -0.125 0.167 -0.178
Si 2.233 -0.099 -1.910 -0.349 -0.013 -0.221 0.428
C 1.738 1.666 -2.282 -0.008 0.016 0.005 -0.182
C 1.371 -1.236 -3.142 0.042 -0.083 0.052 -0.170
C 1.673 -0.520 -0.180 0.607 -0.143 0.014 -0.436
C 1.946 0.553 0.819 -0.149 -0.013 -0.001 -0.419
C 3.205 1.118 1.055 0.059 0.025 -0.011 -0.033
C 3.346 2.103 2.014 -0.025 -0.047 -0.016 -0.059
C 2.236 2.520 2.736 0.039 0.003 -0.004 -0.074
C 1.025 1.922 2.455 -0.103 0.021 0.095 -0.132
N 0.884 0.971 1.535 0.185 -0.048 -0.009 0.002
Si 2.119 -2.186 0.530 0.021 -0.137 0.048 0.420
C 1.554 -3.624 -0.524 -0.053 0.025 -0.084 -0.165
C 3.980 -2.428 0.740 0.081 0.178 0.005 -0.173
C 1.360 -2.307 2.249 -0.043 0.016 -0.073 -0.162
H 4.267 0.050 -3.313 -0.024 0.006 0.010 0.029
H 4.451 -1.245 -2.122 0.013 0.046 -0.046 0.013
H 4.673 0.441 -1.639 0.001 -0.008 -0.051 0.018
H 1.787 1.874 -3.355 0.033 -0.024 0.025 0.035
H 2.376 2.389 -1.767 -0.037 0.000 0.000 0.019
H 0.719 1.873 -1.945 0.014 0.072 -0.034 -0.019
H 1.282 -0.740 -4.112 0.008 -0.001 0.019 0.031
H 0.366 -1.499 -2.803 0.004 -0.005 -0.052 0.018
H 1.926 -2.166 -3.293 -0.038 0.025 0.009 0.020
H 4.056 0.764 0.488 -0.006 0.029 0.014 0.097
H 4.317 2.546 2.201 -0.001 -0.001 -0.016 0.106
H 2.299 3.305 3.476 -0.007 -0.010 0.000 0.103
H 0.121 2.212 2.980 -0.011 -0.027 -0.022 0.124
H 2.032 -3.602 -1.508 -0.001 -0.025 0.039 0.021
H 0.474 -3.619 -0.672 0.020 -0.016 -0.013 0.017
H 1.837 -4.563 -0.038 0.005 0.027 0.000 0.034
H 4.478 -2.437 -0.233 0.005 -0.021 0.055 0.012
H 4.189 -3.381 1.233 -0.029 0.011 0.010 0.028
H 4.431 -1.631 1.339 -0.003 -0.048 -0.007 0.023
H 0.289 -2.079 2.251 -0.014 -0.042 0.092 0.011
H 1.838 -1.605 2.937 -0.023 0.003 -0.005 0.038
H 1.474 -3.314 2.657 0.014 0.003 -0.014 0.035
C -2.737 4.007 1.863 0.030 -0.025 0.027 -0.119
O -1.464 4.460 1.400 -0.031 -0.045 -0.071 -0.252
C -0.843 3.840 0.374 0.100 0.051 0.196 -1.304
S 0.636 4.444 -0.042 -0.082 -0.034 -0.046 0.591
S -1.661 2.508 -0.364 -0.020 -0.017 -0.144 0.602
H -3.038 4.735 2.612 0.011 0.005 0.021 0.090
H -2.664 3.017 2.315 0.001 -0.005 0.013 0.070
H -3.463 3.977 1.051 -0.006 0.024 -0.002 0.066
```
Positions in Å, forces in eV/Å.


[2]
>>>

[1]
Here is a structure of composition C20H34GdN2O6S2Si2 in a non-equilibrium geometry from the OMol25 dataset. Energies are from the ωB97M-V functional and the def2-TZVPD basis.

As for the energy above the lowest of the compared OMol25 structures with the same formula, charge and spin: 0.0 kcal per mole. Its multiplicity is 8. For the total energy, the calculation gives -3484.77305 Ha. As for the expectation value of S²: 16.060. The highest occupied orbital energy (spin up / spin down) comes out at -5.10 / -5.11 eV. Its total charge is -1.

Geometry as XYZ:
```
67
Properties=species:S:1:pos:R:3:forces:R:3:lowdin_charge:R:1
Gd -0.821 -0.307 0.181 0.323 1.343 -0.402 1.476
O -1.814 0.101 -2.307 -0.010 0.081 0.118 -0.176
C -3.174 -0.328 -2.437 0.029 0.035 0.089 -0.197
C -4.005 0.124 -1.246 0.185 0.019 -0.006 -0.185
N -3.444 -0.384 0.005 -0.380 -0.164 0.180 -0.242
C -3.716 -1.824 0.155 0.197 -0.074 -0.141 -0.088
C -2.671 -2.733 -0.524 -0.164 0.062 0.080 -0.642
O -3.048 -3.772 -1.037 0.086 -0.070 -0.023 0.044
O -1.453 -2.302 -0.459 -0.320 -0.743 -0.196 -0.213
C -3.918 0.355 1.183 0.035 -0.158 0.012 -0.127
C -3.015 0.128 2.415 -0.089 -0.158 -0.165 -0.662
O -3.455 0.458 3.504 0.062 0.069 0.057 0.030
O -1.857 -0.385 2.167 -0.251 0.101 0.470 -0.200
H -1.796 1.073 -2.328 0.104 -0.033 0.005 0.014
H -3.144 -1.413 -2.515 0.016 -0.027 -0.042 0.118
H -3.607 0.066 -3.360 -0.003 0.010 -0.031 0.125
H -5.047 -0.200 -1.383 -0.029 0.006 -0.010 0.131
H -3.987 1.215 -1.204 -0.035 0.013 0.014 0.092
H -4.702 -2.092 -0.238 -0.063 0.041 0.034 0.129
H -3.690 -2.080 1.215 0.012 0.030 0.030 0.136
H -4.947 0.090 1.453 -0.020 -0.023 0.008 0.132
H -3.888 1.423 0.968 0.018 0.014 -0.056 0.079
C 4.082 -0.226 -2.271 0.068 -0.125 0.167 -0.178
Si 2.233 -0.099 -1.910 -0.349 -0.013 -0.221 0.428
C 1.738 1.666 -2.282 -0.008 0.016 0.005 -0.182
C 1.371 -1.236 -3.142 0.042 -0.083 0.052 -0.170
C 1.673 -0.520 -0.180 0.607 -0.143 0.014 -0.436
C 1.946 0.553 0.819 -0.149 -0.013 -0.001 -0.419
C 3.205 1.118 1.055 0.059 0.025 -0.011 -0.033
C 3.346 2.103 2.014 -0.025 -0.047 -0.016 -0.059
C 2.236 2.520 2.736 0.039 0.003 -0.004 -0.074
C 1.025 1.922 2.455 -0.103 0.021 0.095 -0.132
N 0.884 0.971 1.535 0.185 -0.048 -0.009 0.002
Si 2.119 -2.186 0.530 0.021 -0.137 0.048 0.420
C 1.554 -3.624 -0.524 -0.053 0.025 -0.084 -0.165
C 3.980 -2.428 0.740 0.081 0.178 0.005 -0.173
C 1.360 -2.307 2.249 -0.043 0.016 -0.073 -0.162
H 4.267 0.050 -3.313 -0.024 0.006 0.010 0.029
H 4.451 -1.245 -2.122 0.013 0.046 -0.046 0.013
H 4.673 0.441 -1.639 0.001 -0.008 -0.051 0.018
H 1.787 1.874 -3.355 0.033 -0.024 0.025 0.035
H 2.376 2.389 -1.767 -0.037 0.000 0.000 0.019
H 0.719 1.873 -1.945 0.014 0.072 -0.034 -0.019
H 1.282 -0.740 -4.112 0.008 -0.001 0.019 0.031
H 0.366 -1.499 -2.803 0.004 -0.005 -0.052 0.018
H 1.926 -2.166 -3.293 -0.038 0.025 0.009 0.020
H 4.056 0.764 0.488 -0.006 0.029 0.014 0.097
H 4.317 2.546 2.201 -0.001 -0.001 -0.016 0.106
H 2.299 3.305 3.476 -0.007 -0.010 0.000 0.103
H 0.121 2.212 2.980 -0.011 -0.027 -0.022 0.124
H 2.032 -3.602 -1.508 -0.001 -0.025 0.039 0.021
H 0.474 -3.619 -0.672 0.020 -0.016 -0.013 0.017
H 1.837 -4.563 -0.038 0.005 0.027 0.000 0.034
H 4.478 -2.437 -0.233 0.005 -0.021 0.055 0.012
H 4.189 -3.381 1.233 -0.029 0.011 0.010 0.028
H 4.431 -1.631 1.339 -0.003 -0.048 -0.007 0.023
H 0.289 -2.079 2.251 -0.014 -0.042 0.092 0.011
H 1.838 -1.605 2.937 -0.023 0.003 -0.005 0.038
H 1.474 -3.314 2.657 0.014 0.003 -0.014 0.035
C -2.737 4.007 1.863 0.030 -0.025 0.027 -0.119
O -1.464 4.460 1.400 -0.031 -0.045 -0.071 -0.252
C -0.843 3.840 0.374 0.100 0.051 0.196 -1.304
S 0.636 4.444 -0.042 -0.082 -0.034 -0.046 0.591
S -1.661 2.508 -0.364 -0.020 -0.017 -0.144 0.602
H -3.038 4.735 2.612 0.011 0.005 0.021 0.090
H -2.664 3.017 2.315 0.001 -0.005 0.013 0.070
H -3.463 3.977 1.051 -0.006 0.024 -0.002 0.066
```
Positions in Å, forces in eV/Å.


[2]